# Material
+++
Formula: C58H141Br6N5O5
Source: the OMol25 dataset
Level of theory: ωB97M-V/def2-TZVPD

* E: -500365.4154 eV
* orbital gap: 8.015 eV

Geometry as XYZ:
```
215
Properties=species:S:1:pos:R:3:lowdin_charge:R:1
C -22.601 26.639 -7.649 -1.4645
Br -23.157 24.827 -7.146 0.4915
Br -20.755 26.471 -8.457 0.4863
Br -22.557 27.518 -5.870 0.4976
H -23.324 27.082 -8.333 -0.0114
C -27.349 25.474 -17.903 -1.4543
Br -25.934 26.896 -18.026 0.4943
Br -27.036 23.920 -19.143 0.5077
Br -29.213 26.263 -17.937 0.5019
H -27.055 25.209 -16.887 -0.0515
C -20.447 24.467 -15.093 -0.1159
C -20.188 23.144 -15.740 -0.2962
C -20.224 21.930 -14.849 -0.2535
C -21.579 21.701 -14.217 -0.2096
C -21.854 20.290 -13.603 -0.2630
C -21.413 19.089 -14.410 -0.1273
H -20.493 25.296 -15.800 0.0692
H -19.671 24.726 -14.373 0.0738
H -21.383 24.507 -14.536 0.0683
H -20.938 22.984 -16.515 0.1066
H -19.225 23.038 -16.239 0.1073
H -19.429 21.962 -14.104 0.1191
H -19.932 21.154 -15.556 0.1032
H -21.667 22.295 -13.308 0.1097
H -22.289 21.821 -15.036 0.1156
H -21.380 20.224 -12.624 0.0957
H -22.890 20.298 -13.265 0.0976
H -20.349 18.856 -14.359 0.0690
H -21.913 18.133 -14.252 0.0663
H -21.490 19.269 -15.482 0.0647
C -30.204 24.052 -3.405 -0.1173
C -29.286 24.836 -2.467 -0.2875
C -30.007 25.991 -1.789 -0.2214
C -31.357 25.518 -1.156 -0.1974
C -32.055 26.777 -0.478 -0.2484
C -32.639 27.765 -1.495 -0.1287
H -30.626 23.195 -2.879 0.0690
H -29.516 23.476 -4.023 0.0617
H -30.913 24.655 -3.972 0.0826
H -28.774 24.306 -1.664 0.1031
H -28.410 25.126 -3.048 0.0942
H -30.092 26.807 -2.508 0.1080
H -29.381 26.297 -0.951 0.1042
H -32.106 25.168 -1.867 0.0918
H -31.279 24.673 -0.471 0.1061
H -32.835 26.379 0.171 0.0928
H -31.352 27.354 0.124 0.0936
H -33.525 28.283 -1.129 0.0631
H -31.911 28.479 -1.880 0.0640
H -33.059 27.318 -2.396 0.0663
C -39.559 33.478 -18.666 -0.1212
C -39.552 34.441 -17.479 -0.2792
C -38.768 33.936 -16.265 -0.2053
C -39.332 32.688 -15.506 -0.2124
C -40.209 33.008 -14.269 -0.2844
C -40.486 31.732 -13.577 -0.1439
H -40.394 32.778 -18.670 0.0685
H -38.584 32.993 -18.713 0.0703
H -39.609 34.101 -19.559 0.0647
H -39.059 35.343 -17.842 0.0984
H -40.599 34.676 -17.287 0.1013
H -38.642 34.706 -15.505 0.0985
H -37.779 33.784 -16.697 0.0985
H -39.897 32.012 -16.148 0.1003
H -38.573 31.947 -15.257 0.1001
H -39.646 33.657 -13.600 0.1057
H -41.104 33.516 -14.627 0.1121
H -41.169 31.149 -14.193 0.0787
H -39.592 31.159 -13.329 0.0780
H -40.980 31.936 -12.627 0.0712
C -35.299 29.329 -22.439 -0.1025
C -35.257 27.787 -22.153 -0.2500
C -36.175 27.409 -21.031 -0.2779
C -36.301 25.941 -20.656 -0.2199
C -37.391 25.631 -19.594 -0.2590
C -38.795 25.694 -20.224 -0.1221
H -36.272 29.802 -22.567 0.0684
H -34.717 29.397 -23.358 0.0602
H -34.777 29.878 -21.656 0.0645
H -35.638 27.316 -23.059 0.1058
H -34.269 27.428 -21.863 0.1106
H -37.157 27.873 -21.121 0.1060
H -35.933 27.871 -20.074 0.1112
H -36.807 25.580 -21.552 0.0946
H -35.406 25.364 -20.424 0.1109
H -37.301 24.584 -19.307 0.0948
H -37.340 26.275 -18.716 0.1038
H -38.935 25.178 -21.173 0.0744
H -39.472 25.356 -19.440 0.0672
H -38.983 26.755 -20.387 0.0593
C -32.757 33.582 -13.466 -0.0901
C -33.087 34.433 -12.171 -0.2601
C -32.448 35.809 -12.104 -0.2388
C -33.054 36.766 -11.028 -0.1928
C -32.127 38.001 -10.800 -0.2629
C -32.264 38.621 -9.416 -0.1422
H -32.410 34.161 -14.322 0.0598
H -33.686 33.080 -13.737 0.0566
H -32.015 32.799 -13.317 0.0589
H -34.139 34.479 -11.890 0.0951
H -32.739 33.870 -11.304 0.0965
H -32.265 36.290 -13.065 0.1088
H -31.430 35.573 -11.796 0.1025
H -33.991 37.193 -11.388 0.1053
H -33.305 36.231 -10.113 0.1067
H -31.069 37.830 -10.996 0.1001
H -32.419 38.838 -11.435 0.0990
H -31.710 39.530 -9.182 0.0642
H -33.274 38.952 -9.179 0.0676
H -31.988 37.940 -8.610 0.0657
C -29.738 34.430 -3.858 -0.1330
C -28.405 33.848 -3.558 -0.3048
C -27.539 33.653 -4.757 -0.2460
C -28.114 32.859 -5.935 -0.2366
C -27.102 32.653 -7.025 -0.2751
C -27.728 31.871 -8.173 -0.1233
H -29.848 35.289 -4.520 0.0820
H -30.208 34.737 -2.923 0.0684
+++

# To do
Now print everything earlier on with every line break kept.

# Result
Formula: C58H141Br6N5O5
Source: the OMol25 dataset
Level of theory: ωB97M-V/def2-TZVPD

* E: -500365.4154 eV
* orbital gap: 8.015 eV

Geometry as XYZ:
```
215
Properties=species:S:1:pos:R:3:lowdin_charge:R:1
C -22.601 26.639 -7.649 -1.4645
Br -23.157 24.827 -7.146 0.4915
Br -20.755 26.471 -8.457 0.4863
Br -22.557 27.518 -5.870 0.4976
H -23.324 27.082 -8.333 -0.0114
C -27.349 25.474 -17.903 -1.4543
Br -25.934 26.896 -18.026 0.4943
Br -27.036 23.920 -19.143 0.5077
Br -29.213 26.263 -17.937 0.5019
H -27.055 25.209 -16.887 -0.0515
C -20.447 24.467 -15.093 -0.1159
C -20.188 23.144 -15.740 -0.2962
C -20.224 21.930 -14.849 -0.2535
C -21.579 21.701 -14.217 -0.2096
C -21.854 20.290 -13.603 -0.2630
C -21.413 19.089 -14.410 -0.1273
H -20.493 25.296 -15.800 0.0692
H -19.671 24.726 -14.373 0.0738
H -21.383 24.507 -14.536 0.0683
H -20.938 22.984 -16.515 0.1066
H -19.225 23.038 -16.239 0.1073
H -19.429 21.962 -14.104 0.1191
H -19.932 21.154 -15.556 0.1032
H -21.667 22.295 -13.308 0.1097
H -22.289 21.821 -15.036 0.1156
H -21.380 20.224 -12.624 0.0957
H -22.890 20.298 -13.265 0.0976
H -20.349 18.856 -14.359 0.0690
H -21.913 18.133 -14.252 0.0663
H -21.490 19.269 -15.482 0.0647
C -30.204 24.052 -3.405 -0.1173
C -29.286 24.836 -2.467 -0.2875
C -30.007 25.991 -1.789 -0.2214
C -31.357 25.518 -1.156 -0.1974
C -32.055 26.777 -0.478 -0.2484
C -32.639 27.765 -1.495 -0.1287
H -30.626 23.195 -2.879 0.0690
H -29.516 23.476 -4.023 0.0617
H -30.913 24.655 -3.972 0.0826
H -28.774 24.306 -1.664 0.1031
H -28.410 25.126 -3.048 0.0942
H -30.092 26.807 -2.508 0.1080
H -29.381 26.297 -0.951 0.1042
H -32.106 25.168 -1.867 0.0918
H -31.279 24.673 -0.471 0.1061
H -32.835 26.379 0.171 0.0928
H -31.352 27.354 0.124 0.0936
H -33.525 28.283 -1.129 0.0631
H -31.911 28.479 -1.880 0.0640
H -33.059 27.318 -2.396 0.0663
C -39.559 33.478 -18.666 -0.1212
C -39.552 34.441 -17.479 -0.2792
C -38.768 33.936 -16.265 -0.2053
C -39.332 32.688 -15.506 -0.2124
C -40.209 33.008 -14.269 -0.2844
C -40.486 31.732 -13.577 -0.1439
H -40.394 32.778 -18.670 0.0685
H -38.584 32.993 -18.713 0.0703
H -39.609 34.101 -19.559 0.0647
H -39.059 35.343 -17.842 0.0984
H -40.599 34.676 -17.287 0.1013
H -38.642 34.706 -15.505 0.0985
H -37.779 33.784 -16.697 0.0985
H -39.897 32.012 -16.148 0.1003
H -38.573 31.947 -15.257 0.1001
H -39.646 33.657 -13.600 0.1057
H -41.104 33.516 -14.627 0.1121
H -41.169 31.149 -14.193 0.0787
H -39.592 31.159 -13.329 0.0780
H -40.980 31.936 -12.627 0.0712
C -35.299 29.329 -22.439 -0.1025
C -35.257 27.787 -22.153 -0.2500
C -36.175 27.409 -21.031 -0.2779
C -36.301 25.941 -20.656 -0.2199
C -37.391 25.631 -19.594 -0.2590
C -38.795 25.694 -20.224 -0.1221
H -36.272 29.802 -22.567 0.0684
H -34.717 29.397 -23.358 0.0602
H -34.777 29.878 -21.656 0.0645
H -35.638 27.316 -23.059 0.1058
H -34.269 27.428 -21.863 0.1106
H -37.157 27.873 -21.121 0.1060
H -35.933 27.871 -20.074 0.1112
H -36.807 25.580 -21.552 0.0946
H -35.406 25.364 -20.424 0.1109
H -37.301 24.584 -19.307 0.0948
H -37.340 26.275 -18.716 0.1038
H -38.935 25.178 -21.173 0.0744
H -39.472 25.356 -19.440 0.0672
H -38.983 26.755 -20.387 0.0593
C -32.757 33.582 -13.466 -0.0901
C -33.087 34.433 -12.171 -0.2601
C -32.448 35.809 -12.104 -0.2388
C -33.054 36.766 -11.028 -0.1928
C -32.127 38.001 -10.800 -0.2629
C -32.264 38.621 -9.416 -0.1422
H -32.410 34.161 -14.322 0.0598
H -33.686 33.080 -13.737 0.0566
H -32.015 32.799 -13.317 0.0589
H -34.139 34.479 -11.890 0.0951
H -32.739 33.870 -11.304 0.0965
H -32.265 36.290 -13.065 0.1088
H -31.430 35.573 -11.796 0.1025
H -33.991 37.193 -11.388 0.1053
H -33.305 36.231 -10.113 0.1067
H -31.069 37.830 -10.996 0.1001
H -32.419 38.838 -11.435 0.0990
H -31.710 39.530 -9.182 0.0642
H -33.274 38.952 -9.179 0.0676
H -31.988 37.940 -8.610 0.0657
C -29.738 34.430 -3.858 -0.1330
C -28.405 33.848 -3.558 -0.3048
C -27.539 33.653 -4.757 -0.2460
C -28.114 32.859 -5.935 -0.2366
C -27.102 32.653 -7.025 -0.2751
C -27.728 31.871 -8.173 -0.1233
H -29.848 35.289 -4.520 0.0820
H -30.208 34.737 -2.923 0.0684